4 ÇO
D E N M A R K .
geographer following in this inftance the dreams of Cluverius and
Cèllarius, while he juftly -reftrias the ancient knowledge of Afia and
Africa. Few materials afterwards arife for the progreffive geography
of Norway, till the time of Jornandes; whofe account is fucceeded by
the navigation of.Ohter reported to the great Alfred, and the defcrip-
tion by Adam of Bremen-. ■
fr^ ^ fih ip f Mflorical, epochs Jpf thefe conjanö kingdoms, mull, be fe-
parately confrdered, till their union in the fourteenth century.
1. The moft ancient population o f the continental part of Denmark
by the CSmbri, who probably ppflefifed the adjacent large iflfes* th e
anciept and chofeh feat . o f the Danilh monarchy j :but of this laft:
pofition there is no evidence.
2. The conqueft.-by the Q®ths, who appear to have proceeded, ifrortt-
Scandinavia into .die Mes^hand Jutland,’ as thedialeót difFers greatly
# Unrelated to this text: materials data
/*
*w*
MgNbVO4 after structural relaxation, computed with PBE+U.

Cell and atoms, written as extended XYZ:
```
7
Lattice="-2.199 -1.702 -0.964 -0.487 5.986 -0.473 4.480 1.440 -3.773" Properties=species:S:1:pos:R:3 pbc="T T T"
Mg -0.381 5.044 -3.282
Nb -0.137 2.051 -3.045
V 2.956 6.614 -4.687
O 0.228 0.698 -1.495
O 1.973 2.038 -3.344
O -0.050 3.766 -1.783
O 1.694 5.105 -3.633
```

## Properties
- Space group: P2/m, No. 10
- Crystal system: monoclinic
- Volume: 81.43 Å³/cell

***

*x*
MgNbVO4 after structural relaxation, computed with PBE+U.

Cell and atoms, written as extended XYZ:
```
7
Lattice="5.370 -0.124 -0.011 2.214 4.889 -0.008 -3.785 -2.377 2.971" Properties=species:S:1:pos:R:3 pbc="T T T"
Mg 0.920 2.446 1.379
Nb 3.615 2.395 2.851
V 2.524 -0.043 1.378
O 2.795 3.623 1.375
O -2.164 -1.241 2.869
O 4.437 1.160 1.372
O 1.817 1.262 2.859
```

## Properties
- Space group: Imm2, No. 44
- Crystal system: orthorhombic
- Volume: 78.55 Å³/cell

***

*y*
MgNbVO4 after structural relaxation, computed with PBE+U.

Cell and atoms, written as extended XYZ:
```
7
Lattice="3.002 -0.027 0.071 -2.930 -5.311 1.629 -3.121 -0.099 -5.485" Properties=species:S:1:pos:R:3 pbc="T T T"
Mg -3.002 -1.079 -4.068
Nb -0.071 -2.894 -1.664
V -1.339 -4.966 1.038
O 0.001 -1.126 -0.615
O -1.525 -1.832 -3.007
O -1.608 -3.629 -0.457
O -2.970 -4.412 -2.991
```

## Properties
- Space group: P1, No. 1
- Crystal system: triclinic
- Volume: 87.37 Å³/cell

***

According to the calculations, the structures order from most to least stable as *x*, *w*, *y*.

***

*w*
MgNbVO4 after structural relaxation, computed with PBE+U.

Cell and atoms, written as extended XYZ:
```
7
Lattice="-0.347 3.608 -3.970 -3.789 3.716 0.855 4.050 -1.952 2.947" Properties=species:S:1:pos:R:3 pbc="T T T"
Mg -0.870 2.655 1.147
Nb -4.111 7.282 -3.097
V 0.822 2.652 -1.287
O -1.897 4.474 0.373
O -0.957 1.695 -0.721
O 0.131 0.882 1.901
O -3.131 5.546 -2.359
```

## Properties
- Space group: Imm2, No. 44
- Crystal system: orthorhombic
- Volume: 78.79 Å³/cell

***

*x*
MgNbVO4 after structural relaxation, computed with PBE+U.

Cell and atoms, written as extended XYZ:
```
7
Lattice="-0.556 -4.695 2.083 4.506 -2.481 -0.475 -1.086 4.682 1.894" Properties=species:S:1:pos:R:3 pbc="T T T"
Mg 2.018 -3.666 0.822
Nb 0.040 -0.072 0.016
V 0.207 -1.873 2.407
O -0.777 -0.086 2.006
O 1.011 -1.836 0.411
O 1.746 1.036 0.724
O 3.020 -5.486 1.229
```

## Properties
- Space group: Imm2, No. 44
- Crystal system: orthorhombic
- Volume: 77.37 Å³/cell

***

According to the calculations, the structures order from most to least stable as *w*, *x*.

***

*w*
MgNb2V2O8 after structural relaxation, computed with PBE+U.

Cell and atoms, written as extended XYZ:
```
13
Lattice="5.035 -5.769 0.111 -0.717 -7.411 1.795 -2.952 5.777 -4.777" Properties=species:S:1:pos:R:3 pbc="T T T"
Mg -0.267 -7.192 0.598
Nb 3.348 -8.628 0.082
Nb -2.066 1.484 -2.990
V 1.304 -2.390 -0.821
V 0.041 -4.949 -2.059
O 0.991 -3.145 -2.808
O 3.133 -3.352 -1.129
*/
from the German Gothic, while it .is a filter of,-the Swedifh aind Non-
, ' Thd Roman and'Dafl4 c accouh^ o f Denmark,, from the tiifrevQf»
PKny and Tacitus to that of Charlemagne;-
4, The fabulous and traditional hiftory o f Denmark,, which,extend^
from about, the year of.Ghrift 5pQ;t ó |b e reign of lieriold, mejatipried.
by the Francic Mftorians' in the time of Charlemagne....
5. The. conqueft of Denmark by Olaf, II king, o f Sweden,- about the
•year 900. The Swedes, appear,to have been expelled by the -Norwegians,
for we afterwards find Hardegon o f Norway king of Denmark..
The Danifh antiquaries • have not fhown much judgment in extricating:
the ancient hiftory of their country, in 'which they fhould have'preferred
the Francic hiftorians to the Icelandic Sagas. ..Some difficulties,
indeed .arife becaufe Jutland and . the ifles wer e occasionally divided into ,
two monarchies-; Jbut if the Dahilh writers Ihowed as much acutenefs-.
as induftry the. embaraiTments might difappear.
' 6. The _ more certain hiftory commences with Gurm, or Goimof,
A. D; 920, -but -there-Teems no evidence whether he fprüng from a
native race, or from the Swed-ifh, or Norwegian. Gormp is fucceededl
by his fon Harald Blaatahd 945, who is followed by liis fon.Swein 985;
well known by his invafion o f England, where, he in fbme meafure-
ufurped the fovereignty, and died A, D., 1 o 1.4..
' 2k ■ 7.' The:
CH A P , m H IS T 0 R IC A L . GEO ÖR A P I! Y.
, t- 7. The great, .Jkâpg o f Denmark, England, and
Ndrway. Th;e conyerfmn o f Denmark to Cbriftianity had commenced
in the beginning of the ninth century, when St, Amfgar began to
diffufe the light of religion in Jutland ; and towards -the middle of that
century there were churches at Slefwick, -and even at Arhus : -hut
Chriftianity was far from being univerfal in..Denmark till the reign Of
Canute the great, when it was followed by its univerfal confluences,
' the ceffation of piracy and rapine, and the. diffufion o f induftry .and
civilization. In the year 1086 Denmark difplayed to Chriftcndom a
regal faint, and martyr, in Canute IV. ,
- 8. The wars of,Denmark 'feawM^is‘p'»em Slavonic.--Inhabitants
©f thé föutheru dhores cffthe Baltic, who by the ignorant hiftbfiams of
the middle' ages are ftyled Vandals, as the iGutæ of Ptolemy .are.by
them ftyled Goths, . whence the. Swedifti Gothland inftead .of Guth-
: 9. The reign, of Wàldemar,; fumamed |b e ,giieat,A.D; *357, ;whô
defeats the Wends.-m -many bathes-,Uahdf|ubdues the ifle ,of -Rugeô.
K Hence followed flowly the -converfion .of Pomerania, and j of the
feountrids bn the daft. Waldemar.-is rega.rded .ias the parent of the
Danilh laws. , In 1223 the fecpnd V/aldemar, with ; a,fleet of to®©
fliips, fubdued a part df Livonia and . Eftonia; on whi,ch oc'cafion is1
■ faid to have been firft difplayed the noted banner of Dannehrog, being
red with. a white crofe.
, 10. The marriage o f Hakon VI, king of' Norway, with-Margaret
daughter, of Waldemar III king’of Denmark, A. D. 1363, produced
the memorable union o f the three crowns of the north. (Pn the death
of her: young fon, Margaret -idcspiided.' the throne iiof Denmark and'
JMorway in 1387, and that of. Sweden; in 1389'. She 'died in 1412 >
.and Sweden foon after prepared to throw off the yoke. Her huftiand,
Éric of Pomerania, reigned about . 26 years.after her death ; and was
followed'by .Chriftopher of Bavaria, who removed, the royal'refidenc.e
from Rofkild to Copenhagen, the fource of the elevation ofthe latter
city* . - ■ ; ■/ ' .
X I . The acceffion of the houle of Oldenburg, in the perfon of
Chriftiern I, A. D. 1448. The repeated revolts of Sweden were fup-
3 R 2 . r prefled
H isto rica j , Epochs.